### Exercise
Could you return the notes underneath without altering anything?
### Source
'''
# NpTl2RhO6

A relaxed structure of NpTl2RhO6 (PBE, Alexandria via LeMat-Bulk).

**Uncorrected formation energy**: -1422 kJ/mol of formula units
**D(E_F)**: 5.53 states/eV/f.u.
**Magnetization**: 0.1 μB per formula unit

a = 6.0246 Å, b = 6.0246 Å, c = 29.9706 Å
α = 90.00°, β = 90.00°, γ = 120.00°
With the nearest neighbours (Å) after each atom.
Space group R-3m (No. 166, hexagonal axes)
One atom of each set of equivalent atoms:
1 Np 0.0000 0.0000 0.0000 x3  6 O 2.07
2 Np 0.0000 0.0000 0.5000 x3  6 O 2.06
3 Tl 0.0000 0.0000 0.1216 x6  12 O 3.02-3.36
4 Tl 0.0000 0.0000 0.2819 x6  9 O 2.84-3.04
5 Rh 0.0000 0.0000 0.4065 x6  6 O 2.04-2.08
6 O 0.0028 0.5014 0.7048 x18  1 Rh 2.04, 1 Np 2.07
7 O 0.0411 0.5205 0.1205 x18  1 Np 2.06, 1 Rh 2.08

---

# BaScMo2

A relaxed structure of BaScMo2 (PBE, Alexandria via LeMat-Bulk).

**Energy relative to the lowest polymorph listed for this composition**: 179 meV/atom
**ΔH_f (0 K)**: 564.4 meV/atom
**D(E_F)**: 3.75 states/eV/f.u.
**Magnetization**: 0.0 μB per formula unit

a = 8.1983 Å, b = 3.2513 Å, c = 7.8887 Å
α = 90.00°, β = 93.41°, γ = 90.00°
With the nearest neighbours (Å) after each atom.
Space group Cm (No. 8)
One atom of each set of equivalent atoms:
1 Ba 0.0000 0.0000 0.0000 x2  3 Mo 3.19-3.55, 2 Ba 3.25
2 Sc 0.2244 0.0000 0.6167 x2  5 Mo 2.68-2.97
3 Mo 0.2642 0.5000 0.3070 x2  3 Mo 2.52-2.59
4 Mo 0.4866 0.0000 0.4295 x2  3 Mo 2.52-2.59, 1 Sc 2.68

---

# Ti6In2S

A relaxed structure of Ti6In2S (PBE, Alexandria via LeMat-Bulk).

**Uncorrected formation energy**: -381 kJ/mol of formula units
**D(E_F)**: 7.38 states/eV/f.u.
**Magnetization**: 0.0 μB per formula unit

a = 7.4437 Å, b = 7.4437 Å, c = 3.2796 Å
α = 90.00°, β = 90.00°, γ = 120.00°
With the nearest neighbours (Å) after each atom.
Space group P-62m (No. 189)
One atom of each set of equivalent atoms:
1 Ti 0.0000 0.2427 0.0000 x3  2 S 2.44
2 Ti 0.0000 0.6422 0.5000 x3  1 S 2.66, 4 Ti 2.87, 4 In 2.90
3 In 0.3333 0.6667 0.0000 x2  9 Ti 2.88-2.90
4 S 0.0000 0.0000 0.5000 x1  9 Ti 2.44-2.66

---

# KPdSeN2

A relaxed structure of KPdSeN2 (PBE, Alexandria via LeMat-Bulk).

**Energy relative to the lowest polymorph listed for this composition**: 0 meV/atom
**Uncorrected formation energy**: 579 kJ/mol of formula units
**D(E_F)**: 7.33 states/eV/f.u.
**Magnetization**: 0.1 μB per formula unit

a = 4.1221 Å, b = 4.1221 Å, c = 5.3245 Å
α = 90.00°, β = 90.00°, γ = 90.00°
With the nearest neighbours (Å) after each atom.
Space group P4/mmm (No. 123)
One atom of each set of equivalent atoms:
1 K 0.0000 0.0000 0.0000 x1  4 Se 2.91
2 Pd 0.5000 0.5000 0.5000 x1  4 N 2.06
3 Se 0.5000 0.5000 0.0000 x1  2 Pd 2.66, 4 K 2.91
4 N 0.0000 0.5000 0.5000 x2  2 Pd 2.06

---

# PmNpIr4

A relaxed structure of PmNpIr4 (PBE, Alexandria via LeMat-Bulk).

**ΔH_f (0 K)**: -551.7 meV/atom
**D(E_F)**: 9.02 states/eV/f.u.
**Magnetization**: 3.5 μB per formula unit

a = 7.6127 Å, b = 7.6127 Å, c = 7.6127 Å
α = 90.00°, β = 90.00°, γ = 90.00°
With the nearest neighbours (Å) after each atom.
Space group F-43m (No. 216)
One atom of each set of equivalent atoms:
1 Pm 0.0000 0.0000 0.0000 x4  12 Ir 3.16, 4 Np 3.30
2 Np 0.2500 0.2500 0.2500 x4  12 Ir 3.16, 4 Pm 3.30
3 Ir 0.1248 0.1248 0.6248 x16  6 Ir 2.69-2.70

---

# RbGe2BiO6

A relaxed structure of RbGe2BiO6 (PBE, Alexandria via LeMat-Bulk).

**Uncorrected formation energy**: -1541 kJ/mol of formula units
**D(E_F)**: 0.00 states/eV/f.u.
**Magnetization**: 0.0 μB per formula unit

a = 10.9624 Å, b = 10.3196 Å, c = 5.8055 Å
α = 90.00°, β = 102.64°, γ = 90.00°
With the nearest neighbours (Å) after each atom.
Space group C2/c (No. 15)
One atom of each set of equivalent atoms:
1 Rb 0.0000 0.1790 0.2500 x4  8 O 2.90-3.01
2 Ge 0.2205 0.0837 0.7911 x8  4 O 1.74-1.82
3 Bi 0.0000 0.3848 0.7500 x4  6 O 2.31-2.43
4 O 0.1138 0.4315 0.1415 x8  1 Ge 1.78
5 O 0.1558 0.2369 0.7276 x8  1 Ge 1.74
6 O 0.1595 0.0142 0.0296 x8  2 Ge 1.81-1.82

---

# SrPbAu2

A relaxed structure of SrPbAu2 (PBE, Alexandria via LeMat-Bulk).
'''
### Solution
# NpTl2RhO6

A relaxed structure of NpTl2RhO6 (PBE, Alexandria via LeMat-Bulk).

**Uncorrected formation energy**: -1422 kJ/mol of formula units
**D(E_F)**: 5.53 states/eV/f.u.
**Magnetization**: 0.1 μB per formula unit

a = 6.0246 Å, b = 6.0246 Å, c = 29.9706 Å
α = 90.00°, β = 90.00°, γ = 120.00°
With the nearest neighbours (Å) after each atom.
Space group R-3m (No. 166, hexagonal axes)
One atom of each set of equivalent atoms:
1 Np 0.0000 0.0000 0.0000 x3  6 O 2.07
2 Np 0.0000 0.0000 0.5000 x3  6 O 2.06
3 Tl 0.0000 0.0000 0.1216 x6  12 O 3.02-3.36
4 Tl 0.0000 0.0000 0.2819 x6  9 O 2.84-3.04
5 Rh 0.0000 0.0000 0.4065 x6  6 O 2.04-2.08
6 O 0.0028 0.5014 0.7048 x18  1 Rh 2.04, 1 Np 2.07
7 O 0.0411 0.5205 0.1205 x18  1 Np 2.06, 1 Rh 2.08

---

# BaScMo2

A relaxed structure of BaScMo2 (PBE, Alexandria via LeMat-Bulk).

**Energy relative to the lowest polymorph listed for this composition**: 179 meV/atom
**ΔH_f (0 K)**: 564.4 meV/atom
**D(E_F)**: 3.75 states/eV/f.u.
**Magnetization**: 0.0 μB per formula unit

a = 8.1983 Å, b = 3.2513 Å, c = 7.8887 Å
α = 90.00°, β = 93.41°, γ = 90.00°
With the nearest neighbours (Å) after each atom.
Space group Cm (No. 8)
One atom of each set of equivalent atoms:
1 Ba 0.0000 0.0000 0.0000 x2  3 Mo 3.19-3.55, 2 Ba 3.25
2 Sc 0.2244 0.0000 0.6167 x2  5 Mo 2.68-2.97
3 Mo 0.2642 0.5000 0.3070 x2  3 Mo 2.52-2.59
4 Mo 0.4866 0.0000 0.4295 x2  3 Mo 2.52-2.59, 1 Sc 2.68

---

# Ti6In2S

A relaxed structure of Ti6In2S (PBE, Alexandria via LeMat-Bulk).

**Uncorrected formation energy**: -381 kJ/mol of formula units
**D(E_F)**: 7.38 states/eV/f.u.
**Magnetization**: 0.0 μB per formula unit

a = 7.4437 Å, b = 7.4437 Å, c = 3.2796 Å
α = 90.00°, β = 90.00°, γ = 120.00°
With the nearest neighbours (Å) after each atom.
Space group P-62m (No. 189)
One atom of each set of equivalent atoms:
1 Ti 0.0000 0.2427 0.0000 x3  2 S 2.44
2 Ti 0.0000 0.6422 0.5000 x3  1 S 2.66, 4 Ti 2.87, 4 In 2.90
3 In 0.3333 0.6667 0.0000 x2  9 Ti 2.88-2.90
4 S 0.0000 0.0000 0.5000 x1  9 Ti 2.44-2.66

---

# KPdSeN2

A relaxed structure of KPdSeN2 (PBE, Alexandria via LeMat-Bulk).

**Energy relative to the lowest polymorph listed for this composition**: 0 meV/atom
**Uncorrected formation energy**: 579 kJ/mol of formula units
**D(E_F)**: 7.33 states/eV/f.u.
**Magnetization**: 0.1 μB per formula unit

a = 4.1221 Å, b = 4.1221 Å, c = 5.3245 Å
α = 90.00°, β = 90.00°, γ = 90.00°
With the nearest neighbours (Å) after each atom.
Space group P4/mmm (No. 123)
One atom of each set of equivalent atoms:
1 K 0.0000 0.0000 0.0000 x1  4 Se 2.91
2 Pd 0.5000 0.5000 0.5000 x1  4 N 2.06
3 Se 0.5000 0.5000 0.0000 x1  2 Pd 2.66, 4 K 2.91
4 N 0.0000 0.5000 0.5000 x2  2 Pd 2.06

---

# PmNpIr4

A relaxed structure of PmNpIr4 (PBE, Alexandria via LeMat-Bulk).

**ΔH_f (0 K)**: -551.7 meV/atom
**D(E_F)**: 9.02 states/eV/f.u.
**Magnetization**: 3.5 μB per formula unit

a = 7.6127 Å, b = 7.6127 Å, c = 7.6127 Å
α = 90.00°, β = 90.00°, γ = 90.00°
With the nearest neighbours (Å) after each atom.
Space group F-43m (No. 216)
One atom of each set of equivalent atoms:
1 Pm 0.0000 0.0000 0.0000 x4  12 Ir 3.16, 4 Np 3.30
2 Np 0.2500 0.2500 0.2500 x4  12 Ir 3.16, 4 Pm 3.30
3 Ir 0.1248 0.1248 0.6248 x16  6 Ir 2.69-2.70

---

# RbGe2BiO6

A relaxed structure of RbGe2BiO6 (PBE, Alexandria via LeMat-Bulk).

**Uncorrected formation energy**: -1541 kJ/mol of formula units
**D(E_F)**: 0.00 states/eV/f.u.
**Magnetization**: 0.0 μB per formula unit

a = 10.9624 Å, b = 10.3196 Å, c = 5.8055 Å
α = 90.00°, β = 102.64°, γ = 90.00°
With the nearest neighbours (Å) after each atom.
Space group C2/c (No. 15)
One atom of each set of equivalent atoms:
1 Rb 0.0000 0.1790 0.2500 x4  8 O 2.90-3.01
2 Ge 0.2205 0.0837 0.7911 x8  4 O 1.74-1.82
3 Bi 0.0000 0.3848 0.7500 x4  6 O 2.31-2.43
4 O 0.1138 0.4315 0.1415 x8  1 Ge 1.78
5 O 0.1558 0.2369 0.7276 x8  1 Ge 1.74
6 O 0.1595 0.0142 0.0296 x8  2 Ge 1.81-1.82

---

# SrPbAu2

A relaxed structure of SrPbAu2 (PBE, Alexandria via LeMat-Bulk).